Assignment
Please find the line below that holds "```", then duplicate that line and all lines after it there.

File
........
An isolated ion of composition C6H11BrN and charge +1 at a distorted geometry. Source: the Open Molecules 2025 dataset; level of theory: ωB97M-V with the def2-TZVPD basis set.

Summary:
- energy relative to the best compared isomer or geometry (same formula, charge and spin) (eV) = 5.738
- E (eV) = -77920.429
- HOMO energy (alpha / beta) (eV) = -13.913 / -13.606
- charge = +1
- maximum force (hartree/bohr) = 0.067
- LUMO level (alpha / beta) (eV) = -6.182 / -6.494
- Kohn-Sham gap (alpha / beta) (eV) = 7.731 / 7.113

XYZ file:
```
19
Properties=species:S:1:pos:R:3:forces:R:3
C 2.219 0.471 0.146 -1.61 -2.80 -1.14
C 1.814 1.813 0.193 0.90 2.17 0.06
C 0.408 1.960 -0.317 -0.43 -0.15 -0.34
C -0.368 0.703 -0.155 -0.85 -1.48 -0.19
C -1.319 -2.183 -0.122 0.79 -0.11 -2.78
C 0.032 -1.716 0.307 2.85 -0.16 1.66
N 0.342 -0.521 -0.492 2.63 1.77 0.91
Br 3.702 -0.494 -0.033 -0.32 0.65 0.19
H 1.900 2.193 1.217 0.13 -0.45 0.52
H 2.351 2.632 -0.367 0.55 -1.18 0.48
H -0.103 2.767 0.202 0.00 0.20 -0.40
H 0.611 2.155 -1.347 -0.80 0.47 -0.89
H -0.690 0.591 0.841 -0.59 0.18 1.64
H -1.292 0.719 -0.746 0.17 0.10 -0.27
H -1.899 -1.390 0.185 -2.05 1.49 0.74
........

Completed
```
19
Properties=species:S:1:pos:R:3:forces:R:3
C 2.219 0.471 0.146 -1.61 -2.80 -1.14
C 1.814 1.813 0.193 0.90 2.17 0.06
C 0.408 1.960 -0.317 -0.43 -0.15 -0.34
C -0.368 0.703 -0.155 -0.85 -1.48 -0.19
C -1.319 -2.183 -0.122 0.79 -0.11 -2.78
C 0.032 -1.716 0.307 2.85 -0.16 1.66
N 0.342 -0.521 -0.492 2.63 1.77 0.91
Br 3.702 -0.494 -0.033 -0.32 0.65 0.19
H 1.900 2.193 1.217 0.13 -0.45 0.52
H 2.351 2.632 -0.367 0.55 -1.18 0.48
H -0.103 2.767 0.202 0.00 0.20 -0.40
H 0.611 2.155 -1.347 -0.80 0.47 -0.89
H -0.690 0.591 0.841 -0.59 0.18 1.64
H -1.292 0.719 -0.746 0.17 0.10 -0.27
H -1.899 -1.390 0.185 -2.05 1.49 0.74